== Assignment ==
Next, filter the material below: keep the lines with the word "Mg".

== File ==
*1*
A relaxed LiTiMnO4 crystal. Source: Materials Project, functional PBE with a Hubbard U.

Output
V (Å³/atom): 10.27

```
28
Lattice="-5.934 1.994 0.760 -1.999 -4.406 -4.045 -0.858 -4.643 5.480" Properties=species:S:1:pos:R:3 pbc="T T T"
Li -6.375 1.022 -0.132
Li -7.921 -3.761 0.347
Li -1.523 -0.721 1.538
Li -7.268 -6.333 0.657
Ti -2.498 -2.932 -0.488
Ti -3.400 0.044 -0.495
Ti -4.962 -4.777 -0.050
Ti -6.293 -4.122 2.683
Mn -2.586 -3.525 2.577
Mn -3.766 -6.815 1.991
Mn -5.240 -1.400 1.574
Mn -5.991 -2.369 -1.751
O -0.984 -2.459 0.511
O -1.839 -4.135 -1.766
O -2.494 -4.075 5.342
O -3.995 -6.218 -0.758
O -3.338 -6.060 3.738
O -3.101 -4.250 0.840
O -3.482 -1.490 0.732
O -4.391 -3.407 -1.340
O -4.372 -3.499 3.359
O -5.337 -5.713 1.638
O -5.855 -3.167 1.021
O -5.289 -0.632 -1.210
O -4.432 1.133 0.628
O -6.661 -4.948 -0.823
O -6.887 -2.568 3.545
O -7.872 -4.947 2.099
```

---

*2*
A relaxed LiTiMnO4 crystal. Source: Materials Project, functional PBE with a Hubbard U.

Output
V (Å³/atom): 10.97

```
28
Lattice="2.853 -5.119 1.634 4.741 3.568 1.340 -2.899 0.698 7.769" Properties=species:S:1:pos:R:3 pbc="T T T"
Li 5.089 2.377 2.718
Li 2.695 -1.618 6.750
Li 4.341 0.341 9.362
Li 1.993 0.767 3.990
Ti -0.018 -2.206 4.696
Ti 2.329 -2.633 10.068
Ti 4.971 -0.994 4.178
Ti -0.277 0.129 6.576
Mn 2.098 1.922 7.233
Mn 3.794 -0.777 1.494
Mn 2.603 -2.770 3.496
Mn 3.289 3.917 5.231
O 5.455 0.986 4.219
O 0.208 2.110 6.617
O 4.401 -0.649 6.059
O -0.847 0.474 8.457
O 0.294 -0.200 4.688
O 5.541 -1.324 2.290
O -0.758 -1.840 6.519
O 4.489 -2.964 4.122
O 1.799 -2.576 5.261
O 1.292 2.114 9.000
O 6.692 -1.343 4.999
O 1.445 -0.221 7.398
O 2.901 1.728 5.471
O 3.406 -2.965 1.734
O -2.000 0.490 5.754
O 3.247 -0.634 3.356
```

---

Energy relative to the most stable one, in kJ/mol of atoms: *1* 7.1; *2* 0.0

---

*1*
A relaxed MgCo5O8 crystal. Source: Materials Project, functional PBE with a Hubbard U.

Output
V (Å³/atom): 13.11

```
14
Lattice="5.817 3.297 -0.286 7.266 -2.378 -0.399 0.982 3.821 -4.885" Properties=species:S:1:pos:R:3 pbc="T T T"
Mg 7.975 2.186 -2.739
Co 5.424 3.683 -2.081
Co 3.150 3.001 -3.072
Co 8.721 -0.473 -0.633
Co 4.955 0.595 -2.674
Co 5.422 2.410 -4.995
O 5.684 -0.707 -1.428
O 7.215 3.724 -1.689
O 9.609 2.418 -3.893
O 9.204 0.843 -1.879
O 4.922 3.837 -3.900
O 4.474 2.097 -1.675
O 6.386 1.456 -3.630
O 9.483 4.784 -4.439
```

---

*2*
A relaxed MgCo5O8 crystal. Source: Materials Project, functional PBE with a Hubbard U.

Output
V (Å³/atom): 10.24

```
14
Lattice="1.126 2.188 -5.333 2.394 -3.417 -4.124 -4.430 1.286 -3.639" Properties=species:S:1:pos:R:3 pbc="T T T"
Mg -2.714 2.343 -7.690
Co -0.375 0.057 -6.513
Co 0.827 -1.665 -8.578
Co 1.972 -2.239 -5.346
Co -0.932 -1.040 -3.860
Co -3.138 -0.396 -5.667
O 0.705 -2.017 -3.851
O 0.751 1.475 -7.112
O -0.639 -0.406 -8.379
O 1.439 -1.098 -6.863
O -2.169 1.200 -6.165
O -0.102 0.510 -4.657
O -1.484 -1.362 -5.917
O -1.433 2.123 -9.187
```

---

Energy relative to the most stable one, in kJ/mol of atoms: *1* 23.8; *2* 0.0

----------

# Na2FePCO7

Na2FePCO7 after structural relaxation (PBE with a Hubbard U, the Materials Project database).

a b c (Å): 8.4047 8.4057 8.9489
angles (deg): 89.71 88.64 77.87
Fractional coordinates of all 48 atoms:
Na  0.0000  0.0000  0.0000
Na  0.0019  0.5101  0.4755
Na  0.1354  0.6232  0.8163
Na  0.1483  0.1264  0.6512
Na  0.5019  0.4997  0.9974
Na  0.6026  0.6690  0.6422
Na  0.6160  0.1059  0.8150
Na  0.7504  0.2573  0.4765
Fe  0.3655  0.3961  0.3880
Fe  0.4036  0.8706  0.0856
Fe  0.8658  0.8966  0.3883
Fe  0.9030  0.3725  0.0741
P  0.1165  0.6497  0.1590
P  0.1439  0.1173  0.3071
P  0.6173  0.1504  0.1586
P  0.6520  0.6091  0.3105
C  0.3692  0.8864  0.8064
C  0.3901  0.3707  0.6685
C  0.8660  0.3909  0.7940
C  0.8958  0.8749  0.6688
O  0.0178  0.0571  0.4119
O  0.0440  0.5343  0.0581
O  0.0596  0.1956  0.1644
O  0.1913  0.5630  0.3012
O  0.2055  0.2443  0.4040
O  0.2457  0.7083  0.0586
O  0.2685  0.4721  0.6071
O  0.2722  0.9847  0.8997
O  0.2833  0.9759  0.2583

== Solution ==
Mg 7.975 2.186 -2.739
Mg -2.714 2.343 -7.690